
zhēn kōnɡ xī chén qì
  • vacuum cleaner
  1. 她动用真空吸尘器力争不让厨房出现沙砾。

    She works overtime with her vacuum cleaner to keep grit out of the kitchen .

  2. 真空吸尘器干扰收音机或电视机吗?

    Does the vacuum cleaner interfere with radio or tv ?

  3. 真空吸尘器靠抽吸除尘。

    Vacuum cleaners work by suction .

  4. 元帅迈过真空吸尘器,脚步沉重地走出了房间。

    The Marshal stepped over the vacuum-cleaner and stumped out of the room .

  5. 我们发现这种真空吸尘器很容易推着走。

    We found the vac easy to push .

  6. 那个真空吸尘器有股很难闻的气味。

    The vacuum has an unpleasant smell

  7. 我们测试了各种真空吸尘器,从值得信赖的老牌子到有着最新特色的产品,不一而足。

    We tested a selection of vacuum cleaners , from old faithfuls to those with the latest features .

  8. 日本的最新真空吸尘器配有可探测灰尘多少和地板类型的传感器。

    The latest Japanese vacuum cleaners contain sensors that detect the amount of dust and type of floor .

  9. 下个月我打算买一台真空吸尘器。

    I mean to buy a vacuum next month .

  10. 真空吸尘器Agent的JAVA实现

    Vacuum Cleaner Agent Realized by JAVA

  11. 网飞(Netflix)总裁里德•哈斯廷斯:真空吸尘器销售员

    Netflix CEO Reed Hastings : Vacuum cleaner salesman

  12. 关于1000W以上大功率家用真空吸尘器产品配套性效率指标的探讨&修订QB1562-92真空吸尘器标准的建议之二

    Probe into Product Fittings efficiency Criteria of Vacuum Cleaner above 1000W

  13. 吸尘机器人(NeatoBotvac)真空吸尘器是市场上规模最大、也最有竞争力的一类消费型机器人,而且设计得越来越好。

    Neato Botvac Vacuums constitute the biggest and most competitive consumer-robotics category in the marketplace , and they 're getting better .

  14. 带有绿点的生产代码为K09A的真空吸尘器不在此次召回之列。

    Vacuums with the manufacturing code K09A followed by a green dot are not included in this recall .

  15. 论述了关于商用和住宅HVAC、便携式空气净化器和真空吸尘器的最新过滤介质创新技术,利用该技术可达到MERV16过滤水平而压降低于MERV10过滤器。

    Recent innovations in filter media technologies focusing on filters for commercial and residential HVAC , portable air cleaners and vacuum cleaners were discussed . Utilization of this filter media technology allows for achieving MERV 16 level filtration at pressure drop lower than that of MERV 10 filters .

  16. 工况对真空吸尘器谐波电流发射的影响

    Effects of operation conditions on harmonic current emission of vacuum cleaners

== Unrelated to this piece: calculated molecules ==
- - -
# 1
Here is C43H31Cl2F13N2O9STa as an isolated structure at a distorted geometry from the OMol25 dataset. Energies are from the ωB97M-V functional and the def2-TZVPD basis.

Values from the calculation:
E, eV: -139271.9959
Charge: -1
Largest force on an atom, hartree/bohr: 0.061
Gap between HOMO and LUMO, eV: 6.70
2S+1: 1

Geometry as XYZ:
```
102
Properties=species:S:1:pos:R:3:forces:R:3
Ta -0.167 -1.083 0.220 0.82 3.01 -0.39
C -2.189 -1.882 7.256 0.04 -0.03 -0.10
C -1.453 -1.683 5.956 -0.07 0.01 0.04
C -0.137 -1.253 5.901 -0.04 -0.01 0.01
C 0.510 -1.052 4.699 0.09 -0.03 -0.07
C -0.112 -1.251 3.451 -0.17 -0.13 0.13
N 0.558 -1.025 2.247 -0.22 0.43 -0.90
C 1.887 -0.553 2.329 0.39 -0.25 0.02
C 2.200 0.620 3.017 -0.08 0.02 -0.09
C 3.508 1.018 3.194 -0.01 0.00 0.02
C 4.558 0.245 2.708 0.07 0.02 0.05
C 5.992 0.653 2.928 -0.12 -0.03 -0.10
C 4.250 -0.875 1.954 0.00 0.00 0.08
C 2.930 -1.244 1.697 -0.13 -0.01 0.03
C 2.574 -2.404 0.765 0.08 -0.29 0.05
O 1.330 -2.262 0.164 0.93 -0.58 0.06
C 2.607 -3.713 1.607 -0.05 -0.09 0.00
F 2.042 -4.752 0.986 0.01 0.09 0.09
F 1.987 -3.557 2.780 0.05 -0.03 -0.09
F 3.890 -4.043 1.874 -0.10 -0.01 -0.02
C 3.524 -2.595 -0.469 -0.03 0.10 -0.16
F 4.842 -2.560 -0.212 -0.07 -0.08 0.01
F 3.274 -1.656 -1.382 0.03 -0.12 0.12
F 3.289 -3.789 -1.052 0.01 0.13 0.02
C -1.421 -1.781 3.526 0.01 0.16 -0.20
C -2.060 -1.966 4.745 0.09 0.01 0.04
C -2.110 -2.278 2.272 0.00 -0.39 0.20
O -1.656 -1.628 1.145 -1.29 -1.54 0.78
C -1.803 -3.812 2.135 0.09 0.01 -0.09
F -1.963 -4.473 3.286 -0.10 0.02 0.03
F -2.582 -4.415 1.222 0.03 0.06 -0.03
F -0.534 -3.978 1.756 -0.01 0.02 0.00
C -3.659 -2.126 2.266 -0.07 0.24 -0.03
F -4.140 -2.228 1.025 -0.01 0.01 0.15
F -4.266 -3.078 3.008 0.01 0.12 -0.05
F -4.035 -0.936 2.747 0.01 -0.06 -0.06
H -1.702 -1.340 8.068 -0.01 -0.02 0.00
H -2.229 -2.940 7.531 0.00 0.03 0.03
H -3.216 -1.524 7.177 0.01 0.00 0.04
H 0.407 -1.071 6.823 0.00 0.02 -0.01
H 1.540 -0.738 4.731 -0.01 -0.01 0.03
H 1.377 1.210 3.399 0.01 0.00 0.02
H 3.721 1.939 3.726 -0.01 -0.01 0.01
H 6.122 1.117 3.906 0.03 0.00 0.00
H 6.304 1.377 2.170 0.03 0.00 0.03
H 6.656 -0.210 2.863 0.02 0.03 0.01
H 5.063 -1.458 1.550 -0.02 0.04 0.03
H -3.062 -2.375 4.762 0.01 0.05 -0.01
C -4.270 2.013 -6.031 0.11 -0.01 0.03
C -3.150 2.693 -5.243 -0.11 0.07 -0.06
C -3.494 4.122 -4.834 -0.04 -0.05 0.07
C -4.728 4.131 -3.935 0.06 -0.06 -0.03
C -4.660 3.056 -2.875 -0.07 0.09 -0.05
C -5.504 3.106 -1.783 0.01 -0.01 0.01
C -5.421 2.145 -0.784 0.04 -0.02 -0.08
F -6.264 2.245 0.264 -0.03 0.00 0.03
C -4.508 1.128 -0.832 -0.01 -0.05 0.08
C -3.648 1.056 -1.928 -0.04 0.10 -0.08
C -2.620 0.006 -1.966 0.05 -0.07 -0.19
O -2.633 -0.953 -1.199 -0.10 0.06 0.00
C -1.612 0.184 -2.983 0.07 -0.15 0.26
C -1.809 1.065 -3.990 -0.06 -0.04 -0.03
N -2.852 1.924 -4.034 0.13 0.03 0.00
C -3.724 2.009 -2.953 -0.05 -0.06 0.10
C -0.373 -0.652 -2.954 -0.06 0.42 -0.33
O 0.149 -1.027 -3.989 0.04 -0.09 0.13
O 0.112 -0.872 -1.770 -0.22 -0.44 -0.07
H -4.580 2.630 -6.876 0.02 0.00 0.01
- - -

  17. 像用真空吸尘器来吸一些东西。

    Draw something in by or as if by a vacuum .

  18. 售货员插上电源,示范真空吸尘器的操作。

    The salesperson plugged in and demonstrated the vacuum cleaner .

  19. 有些泵和所有真空吸尘器都是借吸力工作的。

    Some pumps and all vacuum cleaners work by suction .

  20. 附上的简报有关于真空吸尘器的详细信息。

    The attached bulletin will give you complete information on vacuum cleaners .

  21. 首先,它是一台真空吸尘器。

    First of all , it 's a vacuum cleaner .

  22. 吸尘器所吸收的灰尘存放的包。像用真空吸尘器来吸一些东西。

    A bag into which dirt is sucked by a vacuum cleaner .

  23. 使用真空吸尘器(打扫)

    To clean with or use a vacuum cleaner .

  24. 真空吸尘器基本上有三类。

    There are basically three types of vacuum cleaner .

  25. 马达驱动机械地毯清扫机(家用真空吸尘器除外)

    Motorized mechanical carpet-sweeper ( excl. domestic vacuum cleaners )

  26. 当他使用真空吸尘器时,电视机出了毛病。

    When he used the vacuum cleaner , the TV set acted up .

  27. 她每次用真空吸尘器时,电视总是要出毛

    Every time she used the vacuum cleaner , the television would act up

  28. 封包清洁用具,包括放在标有后装的箱子中的真空吸尘器

    Pack cleaning supplies including a vacuum cleaner in a box labeled Last Load

  29. 蒸馏过的白醋,湿布,真空吸尘器

    White distilled vinegar , Damp cloth , Vacuum cleaner

  30. 这个机器人会自动用真空吸尘器清扫你的屋内。

    This robot will automatically vacuum your house .